Forever and always are the two catchphrases utilized in statements of adoration, unwaveringness, and companionship.
### These records of molecules were left in the text by mistake
********
## one
The following is a quantum chemistry calculation of the molecule C3H4N2O, from the Open Molecules 2025 dataset.

Each atom is followed by the atoms it is bonded to, with distances in Å.
Element x y z (Å)
1 O 1.60212 0.87834 -0.99793  C2 1.350, H7 0.966
2 C 0.58727 0.30168 -0.32022  O1 1.350, C3 1.374, N6 1.353
3 C -0.08041 -0.88919 -0.47467  C2 1.374, C4 1.415, H8 1.080
4 C -0.90253 -0.95618 0.67533  C3 1.415, N5 1.319, H9 1.082
5 N -0.81119 0.12171 1.43006  C4 1.319, N6 1.355
6 N 0.11842 0.88529 0.80687  C2 1.353, N5 1.355, H10 1.007
7 H 1.94430 0.22169 -1.61860  O1 0.966
8 H -0.03279 -1.56753 -1.31414  C3 1.080
9 H -1.51296 -1.78922 0.99831  C4 1.082
10 H 0.17794 1.86311 1.04046  N6 1.007

structure (SMILES): Oc1ccn[nH]1
E_HOMO: -8.82 eV
total charge: 0

=====

## two
The following is a quantum chemistry calculation of the molecule C3H4N2O, from the Open Molecules 2025 dataset.

Each atom is followed by the atoms it is bonded to, with distances in Å.
Element x y z (Å)
1 H -2.16261 0.01647 1.71590  N2 1.015
2 N -1.86156 0.27778 0.78256  H1 1.015, C3 1.258
3 C -0.63526 0.10877 0.55845  N2 1.258, C4 1.497, O7 1.379
4 C -0.00748 0.30984 -0.78514  C3 1.497, C5 1.492, H8 1.090, H9 1.095
5 C 1.30709 -0.35509 -0.54734  C4 1.492, N6 1.276, H10 1.085
6 N 1.49359 -0.69388 0.66905  C5 1.276, O7 1.412
7 O 0.32822 -0.39268 1.40743  C3 1.379, N6 1.412
8 H -0.70198 -0.13146 -1.50057  C4 1.090
9 H 0.12161 1.36529 -1.04784  C4 1.095
10 H 2.11837 -0.50505 -1.25250  C5 1.085

structure (SMILES): [H]/N=C1/CC=NO1
E_HOMO: -9.99 eV
total charge: 0

=====

## three
The following is a quantum chemistry calculation of a cluster of 2 separate species, C3H4N2O in total, from the Open Molecules 2025 dataset.

Each atom is followed by the atoms it is bonded to, with distances in Å.
Element x y z (Å)
1 C 1.61276 0.74362 0.29460  O6 1.178, H7 1.079
2 C -0.40041 0.41925 -0.14158  C3 1.505, N4 1.422, N5 1.421
3 C -0.73355 -1.04481 -0.04241  C2 1.505, H8 1.104, H9 1.127, H10 1.121
4 N -1.17141 1.30476 -0.94398  C2 1.422, N5 1.225
5 N -1.27980 1.45889 0.26642  C2 1.421, N4 1.225
6 O 2.31479 -0.08176 -0.16708  C1 1.178
7 H 2.01303 1.46823 0.98740  C1 1.079
8 H -0.97156 -1.34384 -1.07844  C3 1.104
9 H -1.59745 -1.33159 0.62209  C3 1.127
10 H 0.21362 -1.59274 0.20296  C3 1.121

E_HOMO: -9.17 eV
total charge: 0

=====

Most stable structure: one

=====

## one
The following is a quantum chemistry calculation of a cluster of 2 separate species, C3H4N2O in total, from the Open Molecules 2025 dataset.

Each atom is followed by the atoms it is bonded to, with distances in Å.
Element x y z (Å)
1 H 0.61345 -0.44900 2.38171  N2 1.020
2 N 0.13767 -0.12895 1.53799  H1 1.020, C3 1.255
3 C 0.74808 -0.48980 0.50262  N2 1.255, C4 1.433, O5 1.336
4 C 0.90584 -0.55537 -0.92031  C3 1.433, O5 1.492, H6 1.087, H7 1.087
5 O 1.82605 -1.16002 0.08689  C3 1.336, C4 1.492
6 H 1.33226 0.28313 -1.46503  C4 1.087
7 H 0.34571 -1.28249 -1.50261  C4 1.087
8 C -1.98552 1.26974 -0.17554  N9 1.154, H10 1.078
********
### Here the text continues
Known to convey a profound and withstanding responsibility, saying these words frequently implies an extraordinary closeness between two people that will go on from now through eternity.
However, what are the most effective responses to such a statement? In this article, we examine 20 of the best answers to ‘Forever and always that will show an extraordinary somebody exactly the amount they mean to you.
These carefully selected words, regardless of the context, reflect the strong connection between two people, from romantic phrases to more casual responses. These 20 responses can assist you with showing exactly the amount you give a second thought.

20 Appropriate Responses to Forever and Always
1. I love you
It is a well-known fact that the expression ‘I love you’ holds a great deal of force and feeling for persons. This three-word expression can accompany a scope of feelings and have different implications, contingent upon the setting in which it is utilized.
A response of ‘I love you’ to somebody who has said ‘forever and alwaysis a practice in numerous connections, and it conveys the soul of responsibility and devotion.
Two or three has been together for half a month or quite a while, ‘I love you’ actually holds a similar weight.
2. Thank you for your commitment
It can be lovely when someone says to you, “Forever and Always.” It addresses a profound association or commitment made between the two gatherings.
Thank you for your commitment is a response that acknowledges the significance of the commitment that has been made. It likewise conveys a profound appreciation for the signal and the words being said.
According to a person’s perspective, when I hear somebody say ‘forever and always it summons a sense that all is well with the world and thankfulness. I can’t resist the urge to feel the colossal benevolence of someone else who needs to show me their resolute devotion and responsibility.
The point when somebody makes such areas of strength for a, ‘Thank you for your responsibility’ is the ideal response to show appreciation for the responsibility being made.
3. I’m so glad you’re in my life
The phrase “forever and always” is significant. It very well may be an indication of energy, a guarantee to remain together regardless, or a guarantee to constantly have each other’s back.
Accordingly, ‘I’m so glad you’re in my life.’ is a heartfelt and meaningful way to express gratitude.
I frequently utilize this expression since it tells my accomplice that he is the wellspring of happiness in my life.
4. I’ll always be here for you
At the point when somebody says ‘forever and always’, having a positive response is great. ‘I’ll constantly be hanging around for you’ is a fitting method for answering this feeling.
It recognizes the association among you and consoles the other person with your ceaseless help and care.
In heartfelt connections, I’ll continuously be hanging around for you can be utilized as an approach to communicating unrestricted love and devotion which I don’t neglect to utilize on the grounds that It shows that, regardless of the promising and less promising times that go along, I will constantly be there to help my mate.
5. Thank you for your faith in our relationship
At the point when my accomplice communicates his confidence in our relationship by saying ‘forever and always’, it’s smart to show appreciation and let him in on the amount it means to me.
One method for doing this is by saying thank you for your confidence in our relationship. This phrase can assist in enhancing our loving connection and expressing my gratitude for his faith in our bond.
6. I’m really glad we share this bond
At the point when somebody says ‘forever and always’, it’s generally expected with regards to communicating unmistakable inclinations and is normally used to portray a profound close to home association between two persons.
The expression suggests that the relationship has serious areas of strength for a that won’t be broken by anything. Hence, a decent response to ‘forever and always is ‘I’m truly happy we share this bond’.
7. I promise to always cherish this friendship/relationship
At the point when somebody tells me ‘forever and always,’ I view it extremely in a serious way. As far as I might be concerned, it resembles making a settlement or sworn guarantee that our relationship – anything that it could be – will stay enduring and significant later on.
A straightforward response to ‘forever and always could be ‘I vow to constantly love this kinship/relationship.’
I have a dear companion that I’ve known for a long time – maybe a lifelong companion – who says I vow to continuously love this fellowship.
This conveys that despite the fact that life can get going, she’ll continuously make time to keep in contact, esteem the relationship, and try to check in consistently.
Likewise, in the event that I’m in a close connection and my accomplice says ‘forever and always,’ I can answer with I vow to continuously esteem this relationship.
This recommends that I focus on the relationship, and endeavor to keep an elevated degree of trust and correspondence as well as keep on zeroing in on extending the association between us.
8. You are and always will be the most significant person in my life
The expression You are and consistently will be the main person in my life. is a strong and significant message of genuine love.
It suggests that I put the most elevated need on that person, and regardless of what happens our relationship will constantly be vital to me.
The phrase reaffirms that this person will always be important to me, regardless of what happens to them; they are not only a constant but also a source of joy and hope.
It serves as a reminder of the unwavering and unbreakable bond that binds us together.
At the point when the expression ‘You’re the main person in my life, and consistently will be’ is utilized, it gives certainty that regardless of what life brings, our relationship can stay valid and steady.
9. I will do anything for you since you are enough for me
At the point when we hear the expression forever and always,’ an answer of I will do anything for you since you are enough for me. is one method for answering.
This specific expression addresses responsibility and love and is much of the time utilized while passing sentiments on to an accomplice or companion.
Utilizing this expression communicates that a person qualities their relationship more than anything else.
10. I’m so happy we’re together forever and always
It can be extremely powerful and meaningful to express the idea of “forever and always.” As a response, articulating that equivalent opinion such that conveys the profundity of your feelings is conceivable.
For instance, I could say, I’m so blissful we’re together forever and always. I want to share every moment of our lives, even the most insignificant activities.
I intend to get some margin to amaze you, in any event, when it’s elusive time, it’s an interest in our relationship and I’m willing to make it.
I anticipate continuously being there for you, regardless of what life brings.’
11. I will always remember how much you mean to me

The point when somebody says ‘forever and always to you, is a major area of strength for adoration and responsibility.
[The text is interrupted by data records]
-- begin --
Density functional theory data (ωB97M-V/def2-TZVPD) for the ion C5H5FNO2P2 with charge -1.

```
16
Properties=species:S:1:pos:R:3
O -0.24648 -2.41699 -0.47164
C 0.45980 -1.40894 -0.45010
C 1.85047 -1.35508 -0.14980
C 2.52861 -0.16742 -0.14128
C 1.90534 1.04652 -0.39262
F 2.67534 2.18887 -0.31524
C 0.54261 1.17440 -0.61695
O -0.19459 2.15484 -0.70989
N -0.12961 -0.18818 -0.74261
P -1.81712 -0.19453 -1.02912
P -2.34271 1.42307 0.32257
H 2.33923 -2.28423 0.09662
H 3.58609 -0.13613 0.09120
H -1.74024 0.68200 -2.13161
H -3.33883 0.64717 0.95878
H -1.42721 1.02476 1.29952
```

Output
* frontier orbital gap: 7.51 eV
* total charge: -1
* 2S+1: 1
* LUMO level: 3.9 eV
* SMILES: O=c1ccc(F)c([O-])n1[PH]#[PH2]


Density functional theory data (ωB97M-V/def2-TZVPD) for a structure of composition C3H5P.

```
9
Properties=species:S:1:pos:R:3
C -1.19785 0.82937 -0.19465
C -0.19111 -0.05069 0.39797
C 0.70816 0.08772 -0.86601
P -0.39676 1.52033 -1.44992
H -2.08081 1.36698 0.26008
H 0.20449 0.60268 1.28021
H -0.58821 -1.13096 0.89107
H 1.74673 0.44932 -0.77189
H 0.71521 -0.87363 -1.39299
```

Output
* frontier orbital gap: 9.57 eV
* 2S+1: 1
* LUMO level: 0.5 eV


Density functional theory data (ωB97M-V/def2-TZVPD) for a cluster of 9 separate species, C50H68Cl2F8IN3O27PS in total.

```
161
Properties=species:S:1:pos:R:3
C -3.47450 2.51432 0.38704
C -2.62073 1.55638 1.21427
C -2.17869 0.39758 0.30269
Cl -3.60002 -0.70487 0.24345
N -0.95156 -0.46114 0.61676
C -0.31152 -1.12162 -0.65288
Cl -1.28244 -2.63446 -0.89711
C -0.51053 -0.29471 -1.93594
C -1.81495 -0.35112 -2.75965
C -1.72696 -1.31509 -3.94471
C -0.85015 -0.91149 -5.10554
O -0.40304 -1.71060 -5.83703
O -0.63448 0.42015 -5.36993
C 1.22417 -1.49086 -0.51383
C 2.13183 -0.50131 -1.26973
C 1.57276 -2.90299 -1.00878
C 1.41271 -3.23148 -2.50626
C 2.74855 -3.29593 -3.23096
I 0.56498 -5.23473 -2.65789
O 1.79697 -1.42386 0.81655
C 1.01312 -1.22458 1.98117
C 2.05738 -1.01498 3.12581
C 1.97323 -1.70405 4.49552
N 1.45383 -0.93042 5.62225
P 0.08453 -2.85789 2.21909
C -1.01179 -2.93565 3.69222
C -2.47917 -2.57705 3.41000
C 1.38415 -4.12397 2.38518
C 0.84269 -5.49327 1.91714
C 0.10670 0.01805 1.65649
S -0.65909 0.32489 3.28739
C 0.87048 1.22164 1.10651
C 2.23834 1.42340 1.30621
C 2.89307 2.54177 0.80077
N 2.28758 3.48344 0.07478
C 0.99825 3.28016 -0.18161
C 0.25473 2.19279 0.29513
H -3.46186 3.47885 0.88305
H -3.01118 2.66986 -0.57409
H -4.48123 2.14977 0.24609
H -1.81345 2.13439 1.63124
H -3.22023 1.20656 2.04127
H -2.15011 0.79460 -0.70126
H -1.38300 -1.26817 1.09893
H 0.27805 -0.52705 -2.63683
H -0.36938 0.74931 -1.65952
H -2.71591 -0.51622 -2.18622
H -1.92368 0.64161 -3.18584
H -1.43285 -2.31175 -3.64080
H -2.73458 -1.41177 -4.34723
H -0.17909 0.81813 -4.61734
H 3.12358 -0.57186 -0.84799
H 1.77513 0.52052 -1.22318
H 2.20764 -0.74366 -2.32424
H 1.09009 -3.64949 -0.39446
H 2.63565 -2.98786 -0.79174
H 0.68958 -2.63252 -3.04072
H 3.35110 -4.01984 -2.69224
H 2.59999 -3.71039 -4.22101
H 3.24152 -2.33089 -3.27271
-- stop --
[End of the data records]
The response “I always will remember how much you mean to me” is a powerful and meaningful way to demonstrate your commitment to them.
This response conveys authentic appreciation for the other person and Shows that you genuinely esteem the relationship.
You can, for instance, look your significant other in the eye and say, “I will always remember how much you mean to me” when they surprise you with a special dinner.
By doing this, you’ll let them know how much you value their efforts to make you feel special.
12. You’re my best friend and I’ll always love you for that
A great response to “forever and always” is to say, “You’re my best friend, and I’ll always love you for that.”
This sort of assertion suggests that I will constantly serious areas of strength to have faithful sentiments towards the person paying little mind to what could occur.
On the off chance that I’m in a heartfelt connection, saying this might mean that regardless of whether the work is figured out, the speaker will in any case hold the beneficiary in high regard and esteem their companionship.
For instance, assuming that I choose to separate, either my sweetheart or I could complete the discussion with ‘You’re my dearest companion and I’ll continuously cherish you for that’ as an update that regardless of whether the heartfelt association has finished, our fellowship will be never-ending.
13. No matter what unfolds, I’ll forever adore you
Regardless of what unfurls, I’ll always revere you. is an articulation that addresses the profundity of a relationship, stressing the responsibility two persons have to one another.
This expression is many times utilized as a response to ‘forever and always ‘ and demonstrates faithful help for the person being addressed.
In my own life, I’ve utilized ‘I’ll love constantly you, regardless of what ends up we should loved ones know the amount I value them and trust our relationship.
From a dear companion who moved on from school and passed on the city to a relative battling with a troublesome clinical determination, I’ve involved this expression as a method for showing I’m there for them regardless.
14. We’ll have each other forever
With regards to saying ‘forever and always,’ many persons maintain that should be certain the feeling is perceived. Perhaps the most ideal way to do this is to answer with we’ll have each other until the end of time.
This is a significant expression that conveys that two persons will stay joined regardless.
15. Always and forever in my heart
Once in a while, we don’t necessarily in every case have the right words to have the option to communicate our sentiments to somebody who has quite recently said ‘forever and always’.
At the point when somebody says those words, they can encourage us, overpowered, and brimming with adoration, however, they can likewise be hard to impart in a significant manner.
This is why the response “always and forever in my heart” is so lovely.
16. Eternally yours
As a response to “forever and always,” it can be difficult to explain the phrase “everlastingly yours” because everyone interprets it differently.
The expression should be visible as a promise of profound, committed, and undying devotion to someone else. It strikes me as the pinnacle of romantic love and admiration.
This expression is particularly strong for couples who have encountered a lot of difficulties all through their relationship.
17. Thank you for supporting me through everything
At the point when you hear your soul mate say ‘forever and always’, offering your thanks towards them can be quite possibly the best response.
Saying Thank you for supporting me through everything is a method for communicating your appreciation for every one of the times they were there for you – regardless of the circumstance.
It’s a definitive approach to saying ‘I love you’ while showing how grateful you are that they stayed close by.
18. I’m pleased that you gave me the luxury of your love
Maybe the most remarkable response to the expression ‘forever and always I’m satisfied that you provided me with the advantage of your adoration.
This is an explanation that recognizes the other person’s affection and devotion, not exclusively to you but in addition to the relationship.
19. I promise to love and cherish you forever
At the point when somebody says ‘forever and always’, a sincere response, for example, I vow to cherish and treasure you perpetually is a compelling method for showing the amount you give it a second thought.
This sort of response conveys a message of responsibility and dependability that stretches out past actual things.
20. Thank you for loving me so deeply
The 20th best response to ‘forever and always is to thank the speaker for their steadfast and unqualified love.
In a relationship where the two persons included comprehend this to be the situation, this is an ideal method for answering.
Record 1
ORCA calculation (the ωB97M-V functional and the def2-TZVPD basis) on one molecule with the formula C20H28N4O4S.

Properties
Energy relative to the best compared isomer or geometry (same formula, charge and spin) (eV): 0.565
Electronic energy (Eh): -1697.1709
LUMO level (eV): 0.4
F_max (Eh/bohr): 0.0157
HOMO level (eV): -8.1
SMILES: CCCCn1c(N)c(N(Cc2ccccc2OC)C(=O)CCSC)c(=O)[nH]c1=O

```
57
C20H28N4O4S (the ωB97M-V functional and the def2-TZVPD basis)
C -0.4694 0.2147 5.0910
C 0.2933 0.8069 3.9131
C 1.5991 0.0569 3.6575
C 2.4611 0.7477 2.5970
N 1.7451 1.0139 1.3577
C 1.3309 -0.0001 0.5314
N 1.6434 -1.2828 0.8627
C 0.5662 0.2616 -0.5841
N 0.0327 -0.8375 -1.3012
C -1.1354 -1.4835 -0.6959
C -2.4016 -0.7866 -1.1183
C -3.1203 -1.2637 -2.2016
C -4.2613 -0.6173 -2.6441
C -4.6873 0.5238 -1.9937
C -3.9805 1.0212 -0.9119
C -2.8317 0.3787 -0.4687
O -2.0782 0.8089 0.5939
C -2.4134 2.0458 1.1759
C 0.3769 -1.1841 -2.5627
O -0.1425 -2.1224 -3.1375
C 1.4912 -0.3798 -3.2213
C 2.8544 -0.5372 -2.5550
S 3.1593 -2.2133 -1.8911
C 2.9498 -3.2124 -3.3872
C 0.2102 1.6030 -0.9460
O -0.4218 1.9652 -1.9170
N 0.7161 2.5518 -0.0495
C 1.4091 2.3381 1.1051
O 1.7288 3.2414 1.8446
H -1.4031 0.7490 5.2467
H -0.7007 -0.8324 4.9080
H 0.1201 0.2821 6.0026
H -0.3310 0.7478 3.0192
H 0.5114 1.8593 4.1057
H 1.3648 -0.9670 3.3621
H 2.1835 0.0161 4.5788
H 3.3624 0.1642 2.3821
H 2.7686 1.7289 2.9674
H 2.4510 -1.4389 1.4422
H 1.5470 -1.9435 0.1022
H -1.0176 -1.4479 0.3880
H -1.1509 -2.5185 -1.0444
H -2.7639 -2.1463 -2.7103
H -4.8080 -1.0004 -3.4919
H -5.5746 1.0423 -2.3259
H -4.3345 1.9168 -0.4270
H -1.6420 2.2521 1.9172
H -2.4186 2.8466 0.4304
H -3.3870 2.0045 1.6752
H 1.5436 -0.7292 -4.2544
H 1.2051 0.6728 -3.2329
H 2.9628 0.1199 -1.6928
H 3.6558 -0.3176 -3.2622
H 3.2469 -4.2233 -3.1278
H 3.5965 -2.8216 -4.1679
H 1.9065 -3.1932 -3.6884
H 0.4821 3.5188 -0.2449
```



Record 2
ORCA calculation (the ωB97M-V functional and the def2-TZVPD basis) on C20H28N5NiO10S as an isolated structure.

Properties
Total charge: +1
<S²>: 2.004
2S+1: 3
Energy relative to the best compared isomer or geometry (same formula, charge and spin) (eV): 0.000
Electronic energy (Eh): -3711.4165
LUMO level (alpha / beta) (eV): -2.7 / -2.7
F_max (Eh/bohr): 0.0053
HOMO level (alpha / beta) (eV): -12.0 / -12.0

```
65
C20H28N5NiO10S (the ωB97M-V functional and the def2-TZVPD basis)
Ni -1.6059 0.7089 0.2619
O -1.4268 -2.9937 2.3735
C -1.6572 -1.9352 1.6235
O -1.1306 -0.8519 1.8056
C -2.6651 -2.1929 0.5257
O -2.7176 -1.0233 -0.2330
C -3.9245 -0.7014 -0.9441
C -3.7899 0.7250 -1.5154
O -4.7613 1.1881 -2.0691
O -2.6422 1.2888 -1.3426
H -0.8000 -2.7603 3.0779
H -3.6293 -2.4384 0.9862
H -2.3520 -3.0563 -0.0684
H -4.7737 -0.7348 -0.2568
H -4.0864 -1.4128 -1.7540
C 0.7371 3.9687 2.0735
C -0.4216 3.3454 1.3494
O -0.3525 2.1709 0.9532
N -1.5063 4.1047 1.1794
C -2.7022 3.6766 0.4578
C -3.5861 2.7797 1.2886
C -4.7539 3.2666 1.8545
C -5.5404 2.4320 2.6299
C -5.1244 1.1264 2.8290
C -3.9519 0.7150 2.2267
N -3.1953 1.5069 1.4622
A straightforward thank you for cherishing me so profoundly conveys considerably more than only two words.
It addresses the appreciation that somebody has for someone else’s ability to exceed everyone’s expectations; to go past the surface degree of adoration and on second thought show a valid, profound degree of responsibility and dedication.
In conclusion, the expression “forever and always” is potent and has a profound meaning of enduring commitment.
While the best response to it might shift depending upon the circumstance, these 20 responses give a magnificent beginning stage to communicating your sincere opinions.
Regardless of what you say accordingly, it tends to be ameliorating to realize that there are numerous significant and lovely ways of answering when somebody tells you ‘forever and always.’